How to use modelsim
How to use modelsim

Select the files shift_register.vho and shift_register_tb.vhd and click Compile. b) Compile the files:Ĭircuit Design and Simulation with VHDL, 2nd Edition, V. A. Pedroni, MIT Press 5 ‐ Copy these two files to the ModelSim work directory and return to the ModelSim software. ‐ Compile the design. In the work directory, a simulation/modelsim (default name) subdirectory is automatically created, containing the files shift_register.vho and shift_register_vhd.sdo. ‐ Select Assignments > Settings > EDA Tools Settings > Simulation > Tool name > ModelSim‐Altera and click OK. Finally, inspect the resultsĤ. Performing Timing Simulation a) Go to Quartus to get the two additional files: ‐ Launch Quartus II and load the shift_register.vhd file. i) Clean the waveforms window by clicking the restart icon (compare to figure 1b). h) Repeat step (g) a few times. Note that the plot grows 720 ns each time. or selecting Simulate > Run > Run 100. Click then the zoom full icon g) Finally, run the simulation by clicking see the complete waveforms of figure 6d. f) Set the simulation time interval by selecting Simulate > Runtime Options and entering Default Run = 720 ns. e) Any signal in the wave list can be dragged up or down (reset and clock are usually wanted at the top). To do so, press and hold the left mouse button on the signal’s name and move it to the desired position. d) Click the right mouse button on shift_register_tb in figure 6c (top left corner) and select Add to > Wave > All items in region. This places the signal names (no waveforms yet) as shown in the center of figure 6c. This leads to figure 6c (without the waveforms yet). c) Expand the work library in figure 6b, select shift_register_tb, then click OK. (If you are debugging a file, you can compile it separately.)Ĭircuit Design and Simulation with VHDL, 2nd Edition, V. A. Pedroni, MIT Press 4ī) Select Simulate > Start Simulation. This leads to figure 6b. Select both files (shift_register.vhd and shift_register_tb.vhd) and click Compile. e) Select File > Change Directory and change to the directory created in step (a).ģ. Performing Functional Simulation For functional simulation, proceed below. For timing simulation, go to section 4.Ī) Select Compile > Compile or click. LIBRARY ieee USE ieee.std_logic_1164.all -ENTITY shift_register IS PORT (clk, rst, din: IN STD_LOGIC dout: OUT STD_LOGIC) END ENTITY -ARCHITECTURE mydesign OF shift_register IS BEGIN PROCESS (clk, rst) VARIABLE q: STD_LOGIC_VECTOR(0 TO 3) BEGIN IF rst='1' THEN q := (OTHERS => '0') ELSIF rising_edge(clk) THEN q := din & q(0 TO 2) END IF dout VHDL, which opens the VHDL editor. Type each file and save it in the directory created in step (a). Leave these files open, as shown in figure 5. ‐ An SDF (standard delay format) file (shift_register.sdo), which contains the propagation delays.Ĭircuit Design and Simulation with VHDL, 2nd Edition, V. A. Pedroni, MIT Press 2 To perform timing simulation, two additional files are needed, both generated by the synthesizer (Quartus II, for example): ‐ A post synthesis file (shift_register.vho). This tutorial is based on ModelSim 10.1d Altera Starter Edition (free at which accompanies, for example, Quartus II 13.0 sp1. The circuit used in this tutorial is the 4‐stage shift register of figure 1a. The waveforms to be generated for rst, clk, and din are shown in figure 1b, from which the waveforms shown for q and dout are expected.ġ. Files Needed for Simulation To perform functional simulation, two files must be created by the user (see figure 2): ‐ A design file (shift_register.vhd). This file contains all the commands and library inclusions the simulation requires.Circuit Design and Simulation with VHDL 2nd edition Volnei A. Pedroni MIT Press, 2010 Book web: Appendix D In the ModelSim* - Intel ® FPGA Edition software, open the file.

how to use modelsim

#How to use modelsim software

The Intel ® Quartus ® Prime software generates the PLL_RAM_run_msim_rtl_verilog_do file that defines the compilation and simulation instructions for the ModelSim* - Intel ® FPGA Edition simulator in the /simulation/modelsim/ directory in your project.

how to use modelsim

  • Click Tools > Run Simulation Tool > RTL Simulation.
  • do file, click Processing > Start Compilation.

- - -
one | DFT (PBE-GGA) results for a relaxed structure of SmNbRh2.

Cell lengths 3.0853, 4.8997, 4.8997 Å; angles 90.00, 90.00, 90.00 degrees
Atoms (fractional coordinates):
Rh 0.0000 0.5000 0.0000
Rh 0.0000 0.0000 0.5000
Sm 0.5000 0.5000 0.5000
Nb 0.5000 0.0000 0.0000

Values from the calculation:
Calculated volume (Å³ per cell): 74.1
SG: No. 123

two | DFT (PBE-GGA) results for a relaxed structure of SmNbRh2.

Cell lengths 3.2231, 3.2231, 7.2943 Å; angles 90.00, 90.00, 90.00 degrees
Atoms (fractional coordinates):
Sm 0.5000 0.5000 0.5000
Nb 0.5000 0.5000 0.0000
Rh 0.0000 0.0000 0.2022
Rh 0.0000 0.0000 0.7978

Values from the calculation:
Calculated volume (Å³ per cell): 75.8
SG: No. 123

three | DFT (PBE-GGA) results for a relaxed structure of SmNbRh2.

Cell lengths 4.3741, 4.3741, 5.5408 Å; angles 66.75, 66.75, 60.00 degrees
Atoms (fractional coordinates):
Rh 0.7159 0.7159 0.8523
Rh 0.2841 0.2841 0.1477
Nb 0.0000 0.0000 0.0000
Sm 0.5000 0.5000 0.5000

Values from the calculation:
Calculated volume (Å³ per cell): 81.7
SG: No. 166

Energetically preferred structure: two | next structure: +67 meV per atom

one | DFT (PBE-GGA) results for a relaxed structure of SrNb3Rh.

Cell lengths 4.9785, 4.9785, 4.9785 Å; angles 90.00, 90.00, 90.00 degrees
Atoms (fractional coordinates):
Nb 0.0000 0.0000 0.5000
Nb 0.0000 0.5000 0.0000
Nb 0.5000 0.0000 0.0000
Rh 0.0000 0.0000 0.0000
Sr 0.5000 0.5000 0.5000

Values from the calculation:
Calculated volume (Å³ per cell): 123.4
SG: No. 221

two | DFT (PBE-GGA) results for a relaxed structure of SrNb3Rh.

Cell lengths 4.7691, 4.7691, 4.7691 Å; angles 90.00, 90.00, 90.00 degrees
Atoms (fractional coordinates):
Nb 0.0000 0.5000 0.0000
Nb 0.5000 0.0000 0.0000
Nb 0.0000 0.0000 0.5000
Sr 0.0000 0.0000 0.0000
Rh 0.5000 0.5000 0.5000

Values from the calculation:
Calculated volume (Å³ per cell): 108.5
SG: No. 221

Energetically preferred structure: one | next structure: +1784 meV per atom

one | DFT (PBE-GGA) results for a relaxed structure of SrNb2Rh2.

Cell lengths 8.1550, 8.1550, 2.8809 Å; angles 90.00, 90.00, 90.00 degrees
Atoms (fractional coordinates):
Sr 0.5000 0.5000 0.0000
Sr 0.0000 0.0000 0.0000
Rh 0.3263 0.1737 0.5000
Rh 0.8263 0.3263 0.5000
Rh 0.6737 0.8263 0.5000
Rh 0.1737 0.6737 0.5000
Nb 0.1177 0.3823 0.0000
Nb 0.8823 0.6177 0.0000
Nb 0.3823 0.8823 0.0000
Nb 0.6177 0.1177 0.0000

Values from the calculation:
Calculated volume (Å³ per cell): 191.6
SG: No. 127

two | DFT (PBE-GGA) results for a relaxed structure of SrNb2Rh2.

Cell lengths 4.7067, 4.7067, 5.9547 Å; angles 66.72, 66.72, 90.00 degrees
Atoms (fractional coordinates):
Nb 0.6389 0.6389 0.7222
Nb 0.3611 0.3611 0.2778
Rh 0.2500 0.7500 0.5000
Rh 0.7500 0.2500 0.5000
Sr 0.0000 0.0000 0.0000

Values from the calculation:
Calculated volume (Å³ per cell): 109.4
SG: No. 139

three | DFT (PBE-GGA) results for a relaxed structure of SrNb2Rh2.

Cell lengths 4.5026, 4.5026, 6.2346 Å; angles 68.83, 68.83, 90.00 degrees
Atoms (fractional coordinates):
- - -
The data records stop here =

    how to use modelsim

  • To compile the design and generate the.
  • how to use modelsim

    Enable Generate third-party EDA tool command scripts without running the EDA tool, and then click OK.Click Assignments > Settings > EDA Tool Settings > Simulation > More NativeLink Settings.The project opens in the Intel ® Quartus ® Prime GUI. To open the example design project, click File > Open Project, select the pll_ram.qpf project file, and then click file that runs the ModelSim* - Intel ® FPGA Edition simulator from the command line.

    How to use modelsim